Timber sets — simply called the “woods” by most farm youngsters — are an integral aspect of country life. They offer wildlife habitat, firewood for heat, forage for animals, shade, wind protection and so much more. Often overlooked and thought of only in timber terms, there are multiple ways to create income from a small woodlot beyond selling saw logs. Read on and get the most from your wooded acres — be it for pasturing pigs or harvesting the occasional whitetail deer.
Pasturing pigs
If your woodlot is loaded with briars, vines and overgrown understory, pasturing pigs will help clear the mess out so grasses or more beneficial trees and plants can be propagated. We pasture about four pigs per acre of woods, but with more grain and the right soil conditions, you can seasonally keep up to 25 pigs per acre, depending on breed size and other variables. Or if you have a sufficient area of mixed eastern hardwoods, you can let one pig roam three to four acres all summer and feed very little grain. Folks lucky enough to have an orchard (or one nearby) might consider allowing the pigs to keep the orchard grounds free of windfalls.
Grazing other livestock
While pigs are an excellent option because they root and clear space, woodlands can be grazed by any livestock. Goats and cattle are excellent options. Goats can be used to clear out growth that other animals won’t eat. Some breeds of cattle are better at eating the shrubs and such than others; our Dexter cattle will eat just about anything a goat would consume.
Grazing your woodland will give you more pasture, and you should be able to market your beef, goat meat and offspring locally. Pastured meat production commands a higher price in most cases. Laws vary by state for selling meat, so be sure to check the rules and regulations for meat inspection.
Understory crops
• Here the page breaks off for records of crystals:
'''
Diffraction record for Cu2SiSe3. The powder diffraction line list is simulated, not measured: it uses a structure optimized by DFT (PBE) and a wavelength of 1.5418 Å.
Intensities are scaled so that the largest is 100.

Cell and atoms:
a b c (Å): 6.8055 6.8055 6.7552
angles (deg): 99.07 99.07 120.67
Atoms (fractional coordinates):
Cu1 0.0866 0.9134 0.5000
Cu2 0.2438 0.7338 0.9975
Cu3 0.7338 0.2438 0.4975
Cu4 0.9134 0.0866 0.0000
Si1 0.3874 0.5568 0.4763
Si2 0.5568 0.3874 0.9763
Se1 0.0292 0.1992 0.3771
Se2 0.1992 0.0292 0.8771
Se3 0.3681 0.8525 0.3730
Se4 0.5325 0.6904 0.8562
Se5 0.6904 0.5325 0.3562
Se6 0.8525 0.3681 0.8730

The 6 most intense peaks (2θ = 5–70°), sorted by position:
Position (°2θ)	I_rel
27.90	100
46.07	23
46.45	22
46.55	22
54.70	21
55.45	10

---

Diffraction record for Te2Mo3WSe6. The powder diffraction line list is simulated, not measured: it uses a structure optimized by DFT (PBE) and a wavelength of 1.5418 Å.
Intensities are scaled so that the largest is 100.

Cell and atoms:
a b c (Å): 3.3797 3.3797 38.5077
angles (deg): 90.00 90.00 120.00
Atoms (fractional coordinates):
Te1 0.0000 0.0000 0.0000
Te2 0.0000 0.0000 0.0977
Mo1 0.0000 0.0000 0.8610
Mo2 0.3333 0.6667 0.0489
Mo3 0.3333 0.6667 0.4246
W1 0.0000 0.0000 0.2367
Se1 0.0000 0.0000 0.3816
Se2 0.0000 0.0000 0.4676
Se3 0.3333 0.6667 0.1936
Se4 0.3333 0.6667 0.2799
Se5 0.3333 0.6667 0.8180
Se6 0.3333 0.6667 0.9040

The 6 most intense peaks (2θ = 5–70°), sorted by position:
Position (°2θ)	I_rel
11.49	100
30.57	53
35.91	88
43.47	58
45.24	20
54.30	37


Diffraction record for Er4Zn3Au. The XRD peak list is theoretical, not measured: it uses a cell relaxed with PBE and a wavelength of 1.5418 Å.

Largest 12 diffraction maxima, by intensity, 2θ = 15–90°:
2θ/deg  I/Imax  h k l
32.39  100  1 1 1
39.94  60  0 2 0
34.41  31  1 0 3
38.18  28  0 1 4
64.14  27  1 0 7
53.73  24  1 2 3
52.33  16  0 2 4
49.45  14  2 0 0
25.48  14  0 1 2
78.31  13  1 2 7
65.37  12  2 2 0
67.80  10  1 3 1

Cell and atoms:
Cell: 3.686 4.514 11.056 Å, 90.00 90.00 90.00°
Fractional positions:
Er1 0.000 0.000 0.000
Er2 0.000 0.500 0.294
Er3 0.500 0.000 0.497
Er4 0.500 0.500 0.798
Zn1 0.000 0.000 0.720
Zn2 0.000 0.500 0.575
Zn3 0.500 0.500 0.069
Au1 0.500 0.000 0.224
'''
• The records of crystals stop here:
With no animals grazing, a diversity of plants can be cultivated in the understory of forests. In the more southern reaches of the United States, one might consider planting galax, ginseng, tea trees, or other medicinal plants. Decorative native shrubs such as azaleas or rhododendrons can also be grown and sold to homeowners or nurseries for landscaping use.
Ginseng is by far the highest paying understory plant, but it takes about six years to reach a marketable size. It requires a north-facing slope for optimal production. However, ginseng’s growing environment can be simulated. This plant grows wild as far west as the edge of Nebraska and as far north as Maine. You can grow ginseng by purchasing stratified seed or rootlets. Some farms offer starter packages for growers that include rootlets and seeds.
Tea trees are an excellent understory plant. Leaves can be harvested for green tea, pressed into tea tree oil — a common ingredient in many of the healthier cosmetics and cleansers — or cured for black tea. Processing tea is easy to do at home.
There are many varieties of tea trees available, just make sure the variety you are getting is suited to your U.S. Department of Agriculture growing zone. Tea can be grown as far north as Delaware, or USDA Zone 6B. With the popularity and price of coffee and tea continually rising, growing your own tea can save a lot of money over the years, and you can sell cured teas.
Dead or dying trees can often be more useful as firewood. Leaving a few standing dead trees to provide wildlife habitat makes sense for encouraging beauty through wildlife and a more diverse set of woods. But, if you don’t see any foliage on a tree, it’s best to make a decision as soon as you can as to what to do with the tree — weak or diseased trees can be more vulnerable to pests and parasites; diseased trees can also pose a health risk to other trees in your woods. If a tree stands for long enough, it will rot, so it’s often best to cut it down and stack it up for firewood as soon as you notice it is dead. Firewood can provide an occasional windfall throughout the year. If a tree gets blown over in your forest, cut it into firewood. Good firewood is worth more than $100 a cord, and several folks in rural America make a significant supplemental income selling it.
The quality of different types of wood will be region-specific, but typically Osage orange (if you’re in the Great Plains), red and white oak, hickory, ash and hard maples are among the best in terms of British thermal units (BTU — our measurement for quantifying the heat value of fuel). However, a type of wood with a lower BTU rating isn’t all bad and will still sell — for instance, hackberry doesn’t burn as hot, but some folks would rather cut, split and burn it over Osage orange simply because it’s easier to work with. Consider what wood you have, and then see how it ranks and how it’s priced in your area. You’ll also most likely need to season it for at least a year before selling it for the highest price.
Mushroom cultivation
Growing mushrooms is another way to use dead or dying trees. Many options are available depending on your climate. Perhaps the most commonly cultivated mushroom in woodlots is the shiitake. The shiitake grows best in hardwood, particularly oak. On our farm, we have found that thicker-barked oaks work best, but any oak is an outstanding medium for shiitake cultivation. In the Western states, one might consider growing chicken of the woods on Douglas fir. A thinning of stunted or otherwise inferior trees for mushroom cultivation material might help open up your woodland for better grazing or any of the other possible understory uses.
Mushroom cultivation can be started with a small investment. A bag of shiitake sawdust spawn costs $19 to $25 and will inoculate approximately 25 logs averaging 4 feet in length and 4 inches in diameter. You will need an inoculation tool and a drill bit when using sawdust spawn, but the cost is well worth it if you plan on inoculating more than 100 logs in the near future. Logs can be left leaning against other trees in the understory after inoculation. If you have poplar or other softer woods, oyster mushrooms are another option. Logs are usually inoculated as they would be for shiitake.
There are also other methods for cultivating oysters, such as cutting out wedges in logs, stuffing the empty space with spawn and nailing the wedge back in. The totem method is another option. This is simply cutting two sections of log approximately 18 inches long, packing spawn on top of the log that is sitting up and placing the other round on top of it. Generally the top is secured with several long screws or nails. After the incubation period, mushrooms will start growing where the two wood rounds meet.
If you are cutting down larger trees, the remaining stumps can be inoculated as well. There is a product that bears mentioning called MycoSpored Oils. This oil is used in a chainsaw in place of bar oil, inoculating wood; you inoculate everything you cut with the saw. This is a convenient and economical way to grow mushrooms and also to decompose stumps in your woodland. Just be sure to order the formula that is right for the type of woodland you have.
General woodlot and game management
Many people are interested in managing their woodland for game. Deer prefer open understories or meadows near the edge of forests, as well as farmland — especially corn, alfalfa or soybean fields. You might create a forest management plan including the following steps:
1. If the woodlot is very overgrown, consider pasturing pigs on it. The pigs will root up the understory, helping fertilize and aerate it. This makes perfect conditions for planting a forage crop in the understory, called a food plot.
2. Plant a good understory grass such as ryegrass or any good shade blend mixture.
3. Consider thinning out larger trees if your forest seems overcrowded. It is better to have two or three healthy, mast-producing trees rather than half a dozen stunted, poorly producing trees. Cutting down low-quality trees with many limbs is a great way to add a bunch of firewood and help the development of your timber lot.
Leasing hunting rights
If you have woodland that is sufficiently remote, you might consider leasing out hunting rights. There are plenty of hunters who will pay for the right to hunt your land. Paperwork should be drawn up to protect you from liability, specify the length of the lease, and so any rules and regulations you stipulate are understood. I would recommend leasing on a year-to-year basis. A long lease agreement can cause problems if you ever want to sell the property or use it for a different purpose.
Leasing hunting ground is becoming popular, and it can provide significant supplemental income, at the price of friends or strangers gaining access to your land and the animals on it.
As time goes by
The improvements you’ll see in your woodland might seem subtle at first, but over a few years, an overgrown woodlot can undergo dramatic improvements. Part of this, like so much, depends greatly on how much you put into it. Grazing pigs or other animals through your woodland will help better forage come back in the understory, but it will happen a lot sooner if you invest in some good shade grass seed. The type of grass in such mixtures will vary depending on your growing zone. You might be able to save money by mixing your own grass mixture for planting. Buying a pound or two each time you go to the feed or hardware store will make a dramatic difference over the years.
These are by no means the only ways to make money from your woodland, but they are some of the more realistic options for the woodlot owner who is working with a smaller budget. For those able to invest the money and who live in a suitable area, building a few rustic cabins to rent seasonally might also be an option, or some other form of agritourism to draw folks out your way. Whatever you choose, just know that those trees on your property are worth much more than the wood they produce.
Read more: Check the BTUs of the woods on your land with our firewood rating chart, Find the Best Firewood for You.
Samantha Biggers is a writer and farmer based in the western North Carolina mountains. She writes from Biggers’ Farm, a 15-acre mountain farm, where she and her husband raise registered Dexter cattle, pastured poultry, goats, mushrooms, and more. You can read more from Samantha on her blog, Biggers Farm.
The case for hogs
Records of crystals that have nothing to do with the piece:
********
The following is a theoretical powder XRD pattern of Sb3Se2S2. It was derived from a cell relaxed with GGA-PBE, using λ = 1.5418 Å (Cu Kα).

Structure:
```
14
Lattice="8.1818 0.0000 0.0000 0.0000 7.6477 0.0000 -3.0679 0.0000 6.9909" Properties=species:S:1:pos:R:3 pbc="T T T"
Sb 0.0000 0.0000 0.0000
Sb -1.5339 3.8238 3.4955
Sb -0.2341 0.3453 4.9620
Sb 1.2998 3.4785 1.4665
Sb 3.8142 4.1692 5.5244
Sb 5.3481 7.3023 2.0290
Se 2.5222 1.1868 0.6780
Se 0.9883 2.6371 4.1734
Se 4.1257 5.0106 2.8175
Se 2.5917 6.4609 6.3129
S -2.0559 5.0021 5.9999
S -0.5219 6.4694 2.5044
S 5.6359 1.1782 4.4865
S 7.1698 2.6456 0.9911
```

Largest 8 diffraction maxima, low angle first, 10° ≤ 2θ ≤ 90°:
- 16.56°, rel. 71, hkl 1 1 0
- 23.32°, rel. 90, hkl 1 0 -2
- 23.67°, rel. 75, hkl 1 1 1
- 34.97°, rel. 100, hkl 3 1 -1
- 35.94°, rel. 80, hkl 2 2 -2
- 37.41°, rel. 71, hkl 1 1 -3
- 41.12°, rel. 68, hkl 1 3 1
- 41.85°, rel. 50, hkl 2 0 2

* * * * *

CsSnIBr6: calculated X-ray powder pattern (Cu Ka), based on the GGA-PBE geometry in Alexandria.
Peak positions follow from Bragg's law for the DFT cell and can differ from measured ones.

Principal peaks in the range 2θ from 10° to 80°, sorted by position:
2θ (°), I (rel.), h k l
12.16, 559, 0 1 0
13.04, 574, 0 1 1
15.32, 1000, 1 0 1
15.89, 370, 1 1 1
20.48, 338, -1 1 1
25.41, 901, 2 0 1
26.24, 442, 0 2 2
26.97, 840, -1 2 1
32.10, 589, 2 2 2
46.77, 387, 1 4 3

Structural model:
abc: 7.2275 8.1954 8.2186
angles: 62.70 72.62 83.22
Fractional positions:
Cs 0.0000 0.0000 0.0000
Sn 0.5000 0.5000 0.4994
I 0.9999 0.5002 0.9992
Br 0.2220 0.3291 0.4969
Br 0.2349 0.7151 0.6475
Br 0.4972 0.7618 0.1626
Br 0.5030 0.2383 0.8361
Br 0.7651 0.2852 0.3510
Br 0.7781 0.6708 0.5020
********
So much for the records of crystals:
Pigs on pasture are cleaner than when kept in confinement. The only place there is a slight smell is where you feed them, and usually only when it rains. Those with a one-acre woodlot could easily pasture several pigs to provide pork for their family. Pigs are very respectful of electric fences once they get shocked a few times. To be safe, for the first week or two, keep the pigs in a woven wire lot with a single electric wire running about nose level, all around the lot. This gets the pigs trained to the electric fence without the risk of them getting loose. After they are used to the electric, you can turn them out in a three-strand electric fence, and they won’t get loose. Electric fencing is cheap and can be temporary. A permanent fence solution would be woven wire with a strand of electric at roughly snout level, though this can be pricey. If a pig gets loose, don’t panic; most pigs will come right back to the spot where you feed them. Additionally, a pig that is getting enough to eat is not likely to wander too far.